Rakhee Shah: Poverty is having an increasingly detrimental effect on children’s health and wellbeing in the UK

In 2017, the Royal College of Paediatrics and Child Health published a landmark report looking at key indicators of infant, child and young people’s health. Uniquely, the State of Child Health report compared data from across all four UK nations. 

The report found that child poverty was having an increasingly detrimental effect on children’s health and wellbeing and warned of an ever-widening gap between the health of rich and poor families. 

Over the last twelve months, I’ve been involved in compiling the second edition of that report, The State of Child Health 2020. So, three years on, what’s changed? 

Next to the article, the page also holds records of molecules:
____________
# C4H6N2O

One molecule with the formula C4H6N2O in a non-equilibrium geometry (the ωB97M-V functional and the def2-TZVPD basis, the OMol25 dataset).

Atoms and positions in Å:
H1 2.80920 0.86741 -0.46287
N1 1.97600 0.63269 -0.99982
C1 0.99280 1.14197 -0.40298
O1 -0.28765 1.02191 -0.85073
C2 -0.85706 -0.27470 -0.80431
C3 -1.26122 -0.62741 0.63735
C4 -0.14908 -1.14125 1.44491
N2 0.72736 -1.56135 2.07219
H2 1.04916 1.73768 0.51261
H3 -0.17313 -1.02019 -1.22338
H4 -1.75565 -0.22249 -1.42235
H5 -1.65451 0.27776 1.11349
H6 -2.06064 -1.37507 0.64176

Results
- LUMO level: 0.0262 Ha
- Frontier orbital gap: 11.28 eV
- Total charge: 0
- HOMO energy: -0.388 Ha
- SMILES string: [H]/N=C/OCCC#N
- Multiplicity: 1

Charges computed using Löwdin, reported in e: number 1, H, carries 0.0591; number 2, N, carries 0.1442; number 3, C, carries -0.3256; number 4, O, carries -0.0915; number 5, C, carries -0.1955; number 6, C, carries -0.1462; number 7, C, carries -0.2308; number 8, N, carries 0.1475; number 9, H, carries 0.1338; number 10, H, carries 0.1274; number 11, H, carries 0.1270; number 12, H, carries 0.1276; number 13, H, carries 0.1229

# C4H6N2O

One molecule with the formula C4H6N2O in a non-equilibrium geometry (the ωB97M-V functional and the def2-TZVPD basis, the OMol25 dataset).

Atoms and positions in Å:
C1 0.62241 0.46445 0.47468
C2 -0.35736 0.01682 -0.55202
C3 -1.34421 -1.07917 -0.11851
C4 -2.62350 -0.83548 0.10738
N1 -3.61119 -0.10671 -0.07247
N2 -4.72004 0.07622 0.21329
O1 -5.50489 0.99051 0.01694
H1 1.24260 1.33171 0.01169
H2 1.32215 -0.34846 0.75319
H3 0.26812 0.97979 1.43524
H4 -1.16588 0.86438 -0.79011
H5 0.01977 -0.33474 -1.54730
H6 -0.91038 -2.01715 0.29784

Results
- LUMO level (spin up / spin down): -0.0147 / -0.0147 Ha
- Frontier orbital gap (spin up / spin down): 8.20 / 8.20 eV
- Total charge: 0
- HOMO energy (spin up / spin down): -0.316 / -0.316 Ha
- SMILES string: CCC=C=NN=O
- Multiplicity: 1

Charges computed using Löwdin, reported in e: number 1, C, carries -0.1471; number 2, C, carries -0.2930; number 3, C, carries -0.1158; number 4, C, carries -0.0112; number 5, N, carries 0.0904; number 6, N, carries -0.1411; number 7, O, carries -0.0237; number 8, H, carries 0.0981; number 9, H, carries 0.0734; number 10, H, carries 0.0983; number 11, H, carries 0.1413; number 12, H, carries 0.1176; number 13, H, carries 0.1128

# C4H6N2O

C4H6N2O as an isolated structure in a non-equilibrium geometry (the ωB97M-V functional and the def2-TZVPD basis, the OMol25 dataset).

Atoms and positions in Å:
C1 0.15985 1.79872 0.06465
C2 -0.48478 0.49266 -0.17919
N1 1.23608 -1.33776 0.22285
C3 0.10162 -0.83347 -0.43986
N2 -1.77699 0.22726 -0.01927
C4 -1.56882 -1.13123 0.05902
O1 -2.13515 -2.08306 0.47570
H1 1.33900 -1.06321 1.18835
H2 2.10274 -1.33278 -0.29485
H3 0.06132 -1.13767 -1.48405
H4 0.52258 1.86429 1.09366
H5 -0.56718 2.59770 -0.08236
H6 1.00973 1.93855 -0.60466

Results
- LUMO level: 0.0165 Ha
- Frontier orbital gap: 9.16 eV
- Total charge: 0
____________
So much for the records of molecules:

Despite some improvements, we’ve found even more areas of concern. For some indicators, previous progress has stalled and in some cases the trends are worsening. 

Several of the areas where we are performing badly are in child health outcomes which are influenced by the provision of universal health services and strong public health systems. Infant mortality, for example, is a globally recognised marker of a health system’s performance, yet the UK’s progress for this measure does not compare well with European counterparts. The rise in infant mortality in England between 2015 and 2017 is of great concern—and of course the rises are highest for those children living in the most deprived areas. Previous progress in reducing child and adolescent mortality has also stalled over recent years. 

Alarmingly, across the UK, uptake of early vaccinations including MMR has declined since the last report. Progress made in reducing the rate of women that smoke during pregnancy has abruptly plateaued, and in Scotland the proportion of women who reported smoking at the first health visitor review has actually increased since the last report. Tackling child obesity continues to be a huge challenge.  

The UK is the sixth largest economy in the world. Among similar high income countries, the United Kingdom is one of the few places to provide universal healthcare services free at the point of access. 

So why are we failing our children and young people?  

A key factor is that investment into child health and young people’s preventative health services is simply not being prioritised by the government. Over the past few years in England there has been a 39% decline in spending on non-statutory services. [1] Local authority spending on universal and targeted youth services fell by 35% between 2014 and 2017. [2]

But if we are to change the trajectory and improve health outcomes for children and young people in the UK we also need to look at policies outside the health sector that aim to address the wider determinants of health such as deprivation to reduce health inequalities and variation. 

As a community paediatric doctor working in London, I see evidence of these inequalities every day of my working life. Rates of obesity, the proportion of children who are looked after and the numbers of those referred for child protection medicals are all higher for those of my patients living in the poorest parts of our catchment area. 

It’s not all doom and gloom: care for children with long term conditions like diabetes and epilepsy is showing real improvement, as is oral health. Road traffic accidents, accidental injuries, and teenage pregnancy rates are all falling. What the good news stories in this report show is that properly resourced policies and services are crucial if we are to turn things round. The bad news stories show we still have a very long way to go.

Rakhee Shah is a community paediatrician at the Chelsea and Westminster. She is a co-author of the report “State of Child Health 2020″ Twitter: @shahrakhee


1] https://www.bma.org.uk/collective-voice/policy-and-research/public-and-population-health/child-health/supporting-a-healthy-childhood) 

2] Department for Education. Expenditure by Local Authorities and Schools on Education, Children’s and Young People’s Services in England, 2017-18. 2018